Data:
........
A structure of composition C16H48B2F8O8S8Y at a distorted geometry. Source: the Open Molecules 2025 dataset; level of theory: ωB97M-V with the def2-TZVPD basis set.

Geometry (Å):
Y 15.1015 -26.8944 9.1861
B 16.5819 -24.2893 9.5206
F 16.1608 -24.7377 8.2618
F 15.9315 -23.1846 9.8918
F 16.2352 -25.2353 10.4033
F 17.8392 -23.8826 9.5491
B 12.6843 -28.5076 9.2442
F 11.5833 -27.8564 9.7388
F 13.1137 -27.9449 8.1416
F 13.6949 -28.4566 10.2000
F 12.5102 -29.8446 8.9848
C 13.0662 -31.2641 12.6402
S 14.1707 -32.6159 13.3139
O 13.4250 -33.4264 14.4114
C 14.2839 -33.6636 11.8723
H 13.6352 -30.8266 11.8199
H 12.9068 -30.4945 13.3955
H 12.1774 -31.7600 12.2500
H 15.1974 -34.2445 11.9993
H 14.3493 -33.2568 10.8631
H 13.3789 -34.2647 11.7835
C 13.2711 -23.8088 12.3126
S 12.5711 -25.0794 11.1970
O 13.7466 -25.9974 10.7199
C 11.5187 -25.8771 12.3504
H 13.4809 -24.2671 13.2791
H 12.6701 -22.9019 12.3792
H 14.2444 -23.4608 11.9667
H 10.6866 -25.2369 12.6432
H 11.9778 -26.5008 13.1174
H 11.0046 -26.6242 11.7456
C 19.4659 -28.5719 7.4424
S 18.7520 -26.9099 7.8523
O 17.4817 -27.2441 8.6745
C 20.1468 -26.4632 9.0862
H 18.8709 -28.8495 6.5723
H 19.3776 -29.3159 8.2340
H 20.5291 -28.7344 7.2658
H 20.0557 -27.1858 9.8971
H 19.9129 -25.5144 9.5689
H 21.0609 -26.5691 8.5019
C 14.2316 -23.9202 6.1928
S 12.8610 -24.7935 7.0460
O 13.6084 -25.3098 8.2374
C 11.8682 -23.3542 7.7192
H 15.1311 -24.5144 6.0318
H 14.5306 -23.0002 6.6951
H 13.8386 -23.4553 5.2886
H 10.8253 -23.3932 7.4047
H 12.3091 -22.4028 7.4216
H 11.9250 -23.4791 8.8005
C 14.7871 -31.0756 7.4290
S 16.2521 -30.2850 8.0223
O 15.6965 -29.0517 8.7245
C 16.4864 -31.3866 9.4967
H 15.0107 -32.0556 7.0073
H 14.3345 -30.4483 6.6611
H 14.1510 -31.2549 8.2957
H 16.3177 -32.4568 9.3769
H 15.7926 -30.9698 10.2268
H 17.4479 -31.1681 9.9614
C 10.6584 -28.1682 6.4737
S 8.8504 -28.1733 6.1165
O 8.6775 -26.7810 5.3935
C 8.7316 -29.3480 4.7553
H 11.0057 -27.1559 6.6803
H 11.2893 -28.5654 5.6785
H 10.7548 -28.9083 7.2682
H 7.6567 -29.4875 4.6398
H 9.2436 -30.3019 4.8821
H 9.0522 -29.0611 3.7538
C 16.9714 -26.8987 4.8214
S 15.7141 -27.9324 5.6125
O 15.4533 -27.3048 6.9957
C 14.3339 -27.4046 4.4079
H 16.6094 -25.8938 4.6040
H 17.2449 -27.1608 3.7994
H 17.8900 -26.8839 5.4081
H 14.6204 -27.5924 3.3731
H 14.1263 -26.3392 4.5083
H 13.3191 -27.7152 4.6567
C 17.5819 -29.4217 12.8081
S 17.5169 -27.8403 11.8268
O 16.2111 -27.7209 11.0319
C 17.4236 -26.6199 13.2305
H 16.9948 -29.2791 13.7154
H 18.6280 -29.6963 12.9437
H 16.9824 -30.1752 12.2974
H 16.3906 -26.3954 13.4961
H 17.7523 -25.6379 12.8904
H 18.0661 -26.7179 14.1055

Output
HOMO = -10.50 eV
charge = +1
orbital gap = 8.40 eV
LUMO level = -2.105 eV
ΔE to the lowest compared entry with this formula, charge and spin = 0.0 kcal per mole


A structure of composition C16H48BF4O16Tl at a distorted geometry. Source: the Open Molecules 2025 dataset; level of theory: ωB97M-V with the def2-TZVPD basis set.

Geometry (Å):
Tl 0.4406 -4.1958 -0.6763
B 0.8335 -0.2865 0.6534
F 1.3602 0.7167 -0.1957
F 1.1014 -1.5171 0.1951
F 1.4523 -0.1023 1.9848
F -0.5703 -0.0748 0.7547
C 1.7984 3.8935 -1.1169
C 1.4998 5.0882 -2.0546
O 0.5206 5.9686 -1.5243
O 0.6400 2.9509 -1.2487
H 1.9024 4.2258 -0.0841
H 2.7019 3.2996 -1.2549
H 1.2686 4.6264 -3.0145
H 2.4098 5.6850 -2.1159
H -0.1674 5.3809 -1.2037
H 0.7998 2.1587 -0.7307
C -2.2245 -1.1300 -3.8239
C -1.9051 -0.3177 -2.5290
O -1.0998 -1.0628 -1.6047
O -3.3286 -2.1110 -3.6711
H -1.3588 -1.7836 -3.9311
H -2.3649 -0.5179 -4.7148
H -2.8455 0.0054 -2.0824
H -1.2902 0.5620 -2.7186
H -0.9281 -0.5531 -0.8095
H -3.4626 -2.2407 -4.6129
C -4.3209 2.3202 -0.8254
C -3.1626 1.7038 0.1098
O -3.3595 2.0032 1.5146
O -4.0053 3.6825 -1.1452
H -5.3459 2.3945 -0.4624
H -4.3199 1.9009 -1.8315
H -2.1698 2.0118 -0.2182
H -2.8975 0.6467 0.0925
H -2.4704 2.2253 1.8008
H -3.7826 4.1875 -0.3597
C 0.1162 -4.2949 3.3929
C -0.7989 -5.4041 2.8717
O -0.3944 -6.0561 1.6415
O 0.3655 -3.3788 2.3555
H 1.1661 -4.5015 3.6003
H -0.2845 -3.8493 4.3034
H -1.7798 -4.9743 2.6686
........

To do:
Please quote everything earlier on verbatim.

Written answer:
A structure of composition C16H48B2F8O8S8Y at a distorted geometry. Source: the Open Molecules 2025 dataset; level of theory: ωB97M-V with the def2-TZVPD basis set.

Geometry (Å):
Y 15.1015 -26.8944 9.1861
B 16.5819 -24.2893 9.5206
F 16.1608 -24.7377 8.2618
F 15.9315 -23.1846 9.8918
F 16.2352 -25.2353 10.4033
F 17.8392 -23.8826 9.5491
B 12.6843 -28.5076 9.2442
F 11.5833 -27.8564 9.7388
F 13.1137 -27.9449 8.1416
F 13.6949 -28.4566 10.2000
F 12.5102 -29.8446 8.9848
C 13.0662 -31.2641 12.6402
S 14.1707 -32.6159 13.3139
O 13.4250 -33.4264 14.4114
C 14.2839 -33.6636 11.8723
H 13.6352 -30.8266 11.8199
H 12.9068 -30.4945 13.3955
H 12.1774 -31.7600 12.2500
H 15.1974 -34.2445 11.9993
H 14.3493 -33.2568 10.8631
H 13.3789 -34.2647 11.7835
C 13.2711 -23.8088 12.3126
S 12.5711 -25.0794 11.1970
O 13.7466 -25.9974 10.7199
C 11.5187 -25.8771 12.3504
H 13.4809 -24.2671 13.2791
H 12.6701 -22.9019 12.3792
H 14.2444 -23.4608 11.9667
H 10.6866 -25.2369 12.6432
H 11.9778 -26.5008 13.1174
H 11.0046 -26.6242 11.7456
C 19.4659 -28.5719 7.4424
S 18.7520 -26.9099 7.8523
O 17.4817 -27.2441 8.6745
C 20.1468 -26.4632 9.0862
H 18.8709 -28.8495 6.5723
H 19.3776 -29.3159 8.2340
H 20.5291 -28.7344 7.2658
H 20.0557 -27.1858 9.8971
H 19.9129 -25.5144 9.5689
H 21.0609 -26.5691 8.5019
C 14.2316 -23.9202 6.1928
S 12.8610 -24.7935 7.0460
O 13.6084 -25.3098 8.2374
C 11.8682 -23.3542 7.7192
H 15.1311 -24.5144 6.0318
H 14.5306 -23.0002 6.6951
H 13.8386 -23.4553 5.2886
H 10.8253 -23.3932 7.4047
H 12.3091 -22.4028 7.4216
H 11.9250 -23.4791 8.8005
C 14.7871 -31.0756 7.4290
S 16.2521 -30.2850 8.0223
O 15.6965 -29.0517 8.7245
C 16.4864 -31.3866 9.4967
H 15.0107 -32.0556 7.0073
H 14.3345 -30.4483 6.6611
H 14.1510 -31.2549 8.2957
H 16.3177 -32.4568 9.3769
H 15.7926 -30.9698 10.2268
H 17.4479 -31.1681 9.9614
C 10.6584 -28.1682 6.4737
S 8.8504 -28.1733 6.1165
O 8.6775 -26.7810 5.3935
C 8.7316 -29.3480 4.7553
H 11.0057 -27.1559 6.6803
H 11.2893 -28.5654 5.6785
H 10.7548 -28.9083 7.2682
H 7.6567 -29.4875 4.6398
H 9.2436 -30.3019 4.8821
H 9.0522 -29.0611 3.7538
C 16.9714 -26.8987 4.8214
S 15.7141 -27.9324 5.6125
O 15.4533 -27.3048 6.9957
C 14.3339 -27.4046 4.4079
H 16.6094 -25.8938 4.6040
H 17.2449 -27.1608 3.7994
H 17.8900 -26.8839 5.4081
H 14.6204 -27.5924 3.3731
H 14.1263 -26.3392 4.5083
H 13.3191 -27.7152 4.6567
C 17.5819 -29.4217 12.8081
S 17.5169 -27.8403 11.8268
O 16.2111 -27.7209 11.0319
C 17.4236 -26.6199 13.2305
H 16.9948 -29.2791 13.7154
H 18.6280 -29.6963 12.9437
H 16.9824 -30.1752 12.2974
H 16.3906 -26.3954 13.4961
H 17.7523 -25.6379 12.8904
H 18.0661 -26.7179 14.1055

Output
HOMO = -10.50 eV
charge = +1
orbital gap = 8.40 eV
LUMO level = -2.105 eV
ΔE to the lowest compared entry with this formula, charge and spin = 0.0 kcal per mole


A structure of composition C16H48BF4O16Tl at a distorted geometry. Source: the Open Molecules 2025 dataset; level of theory: ωB97M-V with the def2-TZVPD basis set.

Geometry (Å):
Tl 0.4406 -4.1958 -0.6763
B 0.8335 -0.2865 0.6534
F 1.3602 0.7167 -0.1957
F 1.1014 -1.5171 0.1951
F 1.4523 -0.1023 1.9848
F -0.5703 -0.0748 0.7547
C 1.7984 3.8935 -1.1169
C 1.4998 5.0882 -2.0546
O 0.5206 5.9686 -1.5243
O 0.6400 2.9509 -1.2487
H 1.9024 4.2258 -0.0841
H 2.7019 3.2996 -1.2549
H 1.2686 4.6264 -3.0145
H 2.4098 5.6850 -2.1159
H -0.1674 5.3809 -1.2037
H 0.7998 2.1587 -0.7307
C -2.2245 -1.1300 -3.8239
C -1.9051 -0.3177 -2.5290
O -1.0998 -1.0628 -1.6047
O -3.3286 -2.1110 -3.6711
H -1.3588 -1.7836 -3.9311
H -2.3649 -0.5179 -4.7148
H -2.8455 0.0054 -2.0824
H -1.2902 0.5620 -2.7186
H -0.9281 -0.5531 -0.8095
H -3.4626 -2.2407 -4.6129
C -4.3209 2.3202 -0.8254
C -3.1626 1.7038 0.1098
O -3.3595 2.0032 1.5146
O -4.0053 3.6825 -1.1452
H -5.3459 2.3945 -0.4624
H -4.3199 1.9009 -1.8315
H -2.1698 2.0118 -0.2182
H -2.8975 0.6467 0.0925
H -2.4704 2.2253 1.8008
H -3.7826 4.1875 -0.3597
C 0.1162 -4.2949 3.3929
C -0.7989 -5.4041 2.8717
O -0.3944 -6.0561 1.6415
O 0.3655 -3.3788 2.3555
H 1.1661 -4.5015 3.6003
H -0.2845 -3.8493 4.3034
H -1.7798 -4.9743 2.6686